Question and answers

Why using the name "Aloe" and not "Alovera"? 

Alovera is actually compounded, from two words: Aloe and Vera. Vera indicates the species of Aloe. There are hundreds of different species of Aloes. Some of them known to be medicinal, including Alovera. The medicinal Aloes differ from each other by the concentration of some components.

Is the Aloe poisonous?

The medicinal species of Aloe are not poisonous. There is a poisonous Aloe which grows in South Africa and has the nickname "Rat Aloe", due to the smell that wafts from it ( rat carcass).

What is the characteristic that sets the Aloe apart from other medicinal herbs?

These molecular data were left in the piece by mistake:
Record 1

In general, medicinal plants contain one active component, which is produced for medical needs. Aloe contains at least 100 active components, including aromatic ones, located in various parts of the Aloe leaf.

Which therapeutic qualities are attributed to Aloe?

Aloe is known, not only in the folklore, but in scientific studies as well, as anti-cancerous, anti-inflammatory, anti-fungus, anti-bacterial, anti-diabetes, anti cholesterol & lipidemia. The Aloe was found effective for curing burns, diabetes, arthritis, and psoriasis, bowel diseases (ulcer, colitis, crohn), cholesterol and lipids in the blood and different cancer diseases.

There is a clinical study in which 240 patients with different types of cancer were treated with chemotherapy or with chemotherapy combined with Aloe. The group that received Aloe showed better results both concerning the withdrawal of the tumor and concerning the survival of the patients.

What is the importance of all leaf extract, compared with the gel of Aloe alone? 

There are 3 parts in the Aloe leaf:

  • Green rind (in the outside).
  • Mesophyll – Thin, yellow, bitter layer, containing anthraquinones like emodine*.
  • Parenchyma – clear gauzy gel (the inner part), containing acemannan*.

Aloe-Emodine was found effective in many cancer studies , by preventing proliferation of cancer cells and affecting their apoptosis (cell death).

Aloe-Acemannan was found effective in many cancer studies, by enhancing the immune system, specifically for anti-cancer activity.

Not only that both of them were found harmless for normal cells, but the Aloe-acemannan was found helpful for better function of normal cells.

Important comments:

  • Consuming high doses of the whole leaf extract (with the valuable yellow layer) could result in diarrhea. That's why it advised to begin with small dosage of Aloe and raise it gradually.
  • The main problem with the Aloe extract (in form of a gel or as a whole leaf extract) is keeping it biologically active all along the production process, so it will be an efficient product.